In Leviticus, Chapter 19, the Torah tells us: “Rise before the aged and show respect to the elderly.” For the second year in a row, students at the Hebrew Day School of Ann Arbor are fulfilling this mitzvah by participating in a penpal project with older Jewish adults in our community. The project is known as Mitzvah Mail.
### Data records from another source follow
=====
Run A
GaSb | PBE | relaxed

Structure (CIF):
```
data_GaSb
_chemical_formula_sum 'Ga50 Sb50'
_space_group_name_H-M_alt 'P 1'
_space_group_IT_number 1
_cell_length_a 14.317
_cell_length_b 13.457
_cell_length_c 14.248
_cell_angle_alpha 90.31
_cell_angle_beta 90.57
_cell_angle_gamma 91.16
loop_
_space_group_symop_operation_xyz
'x,y,z'
loop_
_atom_site_label
_atom_site_type_symbol
_atom_site_fract_x
_atom_site_fract_y
_atom_site_fract_z
_atom_site_occupancy
Sb1 Sb 0.546 0.042 0.544 1
Sb2 Sb 0.282 0.465 0.162 1
Sb3 Sb 0.790 0.249 0.668 1
Sb4 Sb 0.860 0.118 0.164 1
Sb5 Sb 0.609 0.925 0.283 1
Sb6 Sb 0.541 0.503 0.631 1
Sb7 Sb 0.428 0.812 0.339 1
Sb8 Sb 0.837 0.020 0.504 1
Sb9 Sb 0.956 0.799 0.072 1
Sb10 Sb 0.147 0.016 0.627 1
Sb11 Sb 0.294 0.298 0.636 1
Sb12 Sb 0.371 0.549 0.733 1
Sb13 Sb 0.089 0.219 0.175 1
Sb14 Sb 0.094 0.660 0.501 1
Sb15 Sb 0.711 0.340 0.505 1
Sb16 Sb 0.190 0.177 0.499 1
Sb17 Sb 0.694 0.589 0.414 1
Sb18 Sb 0.979 0.055 0.361 1
Sb19 Sb 0.243 0.829 0.572 1
Sb20 Sb 0.240 0.767 0.961 1
Sb21 Sb 0.970 0.447 0.127 1
Sb22 Sb 0.285 0.967 0.050 1
Sb23 Sb 0.765 0.552 0.153 1
Sb24 Sb 0.271 0.137 0.223 1
Sb25 Sb 0.291 0.207 0.010 1
Sb26 Sb 0.701 0.992 0.721 1
Sb27 Sb 0.130 0.556 0.736 1
Sb28 Sb 0.429 0.663 0.902 1
Sb29 Sb 0.917 0.813 0.647 1
Sb30 Sb 0.720 0.047 0.023 1
Sb31 Sb 0.493 0.975 0.065 1
Sb32 Sb 0.484 0.159 0.177 1
Sb33 Sb 0.471 0.169 0.693 1
Sb34 Sb 0.423 0.737 0.619 1
Sb35 Sb 0.477 0.344 0.370 1
Sb36 Sb 0.871 0.882 0.244 1
Sb37 Sb 0.670 0.135 0.268 1
Sb38 Sb 0.373 0.372 0.869 1
Sb39 Sb 0.912 0.541 0.490 1
Sb40 Sb 0.866 0.689 0.821 1
Sb41 Sb 0.040 0.037 0.064 1
Sb42 Sb 0.021 0.351 0.497 1
Sb43 Sb 0.017 0.131 0.758 1
Sb44 Sb 0.442 0.852 0.795 1
Sb45 Sb 0.638 0.641 0.876 1
Sb46 Sb 0.562 0.504 0.153 1
Sb47 Sb 0.637 0.882 0.885 1
Sb48 Sb 0.189 0.605 0.287 1
Sb49 Sb 0.653 0.431 0.798 1
Sb50 Sb 0.279 0.330 0.322 1
Ga1 Ga 0.671 0.241 0.962 1
Ga2 Ga 0.307 0.659 0.441 1
Ga3 Ga 0.856 0.284 0.024 1
Ga4 Ga 0.892 0.480 0.942 1
Ga5 Ga 0.108 0.342 0.699 1
Ga6 Ga 0.717 0.858 0.438 1
Ga7 Ga 0.540 0.840 0.494 1
Ga8 Ga 0.486 0.236 0.981 1
Ga9 Ga 0.101 0.987 0.874 1
Ga10 Ga 0.176 0.357 0.888 1
Ga11 Ga 0.845 0.885 0.926 1
Ga12 Ga 0.140 0.375 0.063 1
Ga13 Ga 0.820 0.342 0.228 1
Ga14 Ga 0.715 0.441 0.988 1
Ga15 Ga 0.470 0.133 0.381 1
Ga16 Ga 0.765 0.709 0.023 1
Ga17 Ga 0.552 0.670 0.273 1
Ga18 Ga 0.412 0.067 0.900 1
Ga19 Ga 0.230 0.870 0.375 1
Ga20 Ga 0.419 0.489 0.022 1
Ga21 Ga 0.026 0.909 0.501 1
Ga22 Ga 0.363 0.446 0.510 1
Ga23 Ga 0.894 0.109 0.935 1
Ga24 Ga 0.874 0.751 0.428 1
Ga25 Ga 0.959 0.261 0.324 1
Ga26 Ga 0.642 0.204 0.784 1
Ga27 Ga 0.941 0.550 0.686 1
Ga28 Ga 0.529 0.304 0.558 1
Ga29 Ga 0.181 0.750 0.148 1
Ga30 Ga 0.101 0.757 0.694 1
Ga31 Ga 0.638 0.686 0.571 1
Ga32 Ga 0.949 0.176 0.577 1
Ga33 Ga 0.179 0.474 0.542 1
Ga34 Ga 0.842 0.416 0.762 1
Ga35 Ga 0.979 0.595 0.292 1
Ga36 Ga 0.708 0.768 0.719 1
Ga37 Ga 0.128 0.924 0.209 1
Ga38 Ga 0.889 0.973 0.767 1
Ga39 Ga 0.308 0.043 0.407 1
Ga40 Ga 0.274 0.945 0.838 1
Ga41 Ga 0.057 0.797 0.879 1
=====
Through our partners at Jewish Family Services of Washtenaw County, students in the third and fourth grade are paired with older adults to whom they send, and from whom they receive, letters throughout the year. The letters cover a wide range of topics, including family and friends, the events going on in the lives of the correspondents, and the role of Jewish holidays and traditions in their experiences, past and present. When the letters arrive at HDS, our students’ faces light up, as they are treated to vivid accounts of their penpals’ lives and are presented with thoughtful questions about their own. The students excitedly show their letters to one another. They discuss the connections they share with members of another generation, as well as the differences they observe between their experiences and those of their penpals.
The Mitzvah Mail project is an important part of the HDS curriculum in at least two ways. First, it is a real-world writing project. Letter-writing encourages self-reflection–it requires our students to decide what people or events from their lives are appropriate subjects for this kind of communication–and it provides students with an opportunity to work on writing at the level of craft. Once a student has decided what is worth communicating, he or she must take the time to figure out how best to communicate it. Second, the project is steeped in Jewish values, in particular the value of Hiddur P’nai Zaken: respect for the elderly. By creating a framework within which the children can share with and listen to the elderly, we show that we value the wisdom and experiences of these members of our community; and we signal to the students how much they might learn from intentionally and thoughtfully connecting with older adults.
The capstone of the Mitzvah Mail project is a year-end party, at which the students meet face-to-face with their penpals. It is fascinating to watch the students as they see the people behind their letters come to life, and it is rewarding to see them listen to and interact with their penpals in a way that showcases the values of respect and caring that the project is designed to instill. One of our fifth graders who participated in the project last year remarked that he hadn’t previously realized how much he could have in common with an older person, and I am confident that many of our students feel just the same.